Input.
=====
The following is a DFT calculation (GGA-PBE) of crystalline CdBC2S at its relaxed geometry.

abc: 3.8038 3.8242 3.8038
angles: 90.00 90.00 90.00
With the nearest neighbours (Å) after each atom.
Sites, in units of the cell vectors:
S1 0.0000 0.0000 0.0000  4 C 1.90, 2 B 1.91
B1 0.0000 0.5000 0.0000  2 S 1.91
C1 0.0000 0.0000 0.5000  2 S 1.90
C2 0.5000 0.0000 0.0000  2 S 1.90
Cd1 0.5000 0.5000 0.5000  4 B 2.69, 8 C 2.70

## Properties
D(E_F)	1.32	states/eV/f.u.
space group	P4/mmm, No. 123
size of the total moment	0.0000	μB/atom
energy	-3.809	eV per atom
energy relative to the elements, uncorrected	11.1	eV/f.u.


The following is a DFT calculation (GGA-PBE) of crystalline Pm2PaPtO8 at its relaxed geometry.

abc: 5.1333 5.1452 6.9263
angles: 89.99 89.99 91.45
With the nearest neighbours (Å) after each atom.
Sites, in units of the cell vectors:
Pm1 0.4991 0.4991 0.7586  6 O 2.32-2.38
Pm2 0.5009 0.5009 0.2414  6 O 2.32-2.38
Pa1 0.0000 0.0000 0.5000  6 O 2.12-2.26
Pt1 0.0000 0.0000 0.0000  6 O 1.97-2.07
O1 0.1765 0.8233 0.2333  1 Pt 2.07, 1 Pa 2.26
O2 0.7265 0.7253 0.9990  1 Pt 1.97
O3 0.8222 0.1755 0.2333  1 Pt 2.07, 1 Pa 2.26
O4 0.8235 0.1767 0.7667  1 Pt 2.07, 1 Pa 2.26
O5 0.2735 0.2747 0.0010  1 Pt 1.97
O6 0.1778 0.8245 0.7667  1 Pt 2.07, 1 Pa 2.26
O7 0.7053 0.7044 0.5005  1 Pa 2.12, 2 Pm 2.32
O8 0.2947 0.2956 0.4995  1 Pa 2.12, 2 Pm 2.32

## Properties
D(E_F)	7.02	states/eV/f.u.
space group	P-1, No. 2
size of the total moment	0.0793	μB/atom
energy	-7.900	eV per atom
energy relative to the elements, uncorrected	-30.1	eV/f.u.

* * * * *

Density functional theory data (PBE) for a relaxed structure of ScCdOs2.

a = 4.0197 Å, b = 4.0197 Å, c = 4.1164 Å
α = 90.00°, β = 90.00°, γ = 90.00°
Sites, in units of the cell vectors:
1 Sc 0.0000 0.0000 0.0000
2 Cd 0.5000 0.5000 0.0000
3 Os 0.0000 0.5000 0.5000
4 Os 0.5000 0.0000 0.5000

Results
* volume: 66.5 Å³ per cell

=====

Density functional theory data (PBE) for a relaxed structure of ScCdOs2.

a = 5.0823 Å, b = 5.0823 Å, c = 5.0823 Å
=====

Assignment.
Your job: echo the whole of the block earlier on exactly.

Written answer.
The following is a DFT calculation (GGA-PBE) of crystalline CdBC2S at its relaxed geometry.

abc: 3.8038 3.8242 3.8038
angles: 90.00 90.00 90.00
With the nearest neighbours (Å) after each atom.
Sites, in units of the cell vectors:
S1 0.0000 0.0000 0.0000  4 C 1.90, 2 B 1.91
B1 0.0000 0.5000 0.0000  2 S 1.91
C1 0.0000 0.0000 0.5000  2 S 1.90
C2 0.5000 0.0000 0.0000  2 S 1.90
Cd1 0.5000 0.5000 0.5000  4 B 2.69, 8 C 2.70

## Properties
D(E_F)	1.32	states/eV/f.u.
space group	P4/mmm, No. 123
size of the total moment	0.0000	μB/atom
energy	-3.809	eV per atom
energy relative to the elements, uncorrected	11.1	eV/f.u.


The following is a DFT calculation (GGA-PBE) of crystalline Pm2PaPtO8 at its relaxed geometry.

abc: 5.1333 5.1452 6.9263
angles: 89.99 89.99 91.45
With the nearest neighbours (Å) after each atom.
Sites, in units of the cell vectors:
Pm1 0.4991 0.4991 0.7586  6 O 2.32-2.38
Pm2 0.5009 0.5009 0.2414  6 O 2.32-2.38
Pa1 0.0000 0.0000 0.5000  6 O 2.12-2.26
Pt1 0.0000 0.0000 0.0000  6 O 1.97-2.07
O1 0.1765 0.8233 0.2333  1 Pt 2.07, 1 Pa 2.26
O2 0.7265 0.7253 0.9990  1 Pt 1.97
O3 0.8222 0.1755 0.2333  1 Pt 2.07, 1 Pa 2.26
O4 0.8235 0.1767 0.7667  1 Pt 2.07, 1 Pa 2.26
O5 0.2735 0.2747 0.0010  1 Pt 1.97
O6 0.1778 0.8245 0.7667  1 Pt 2.07, 1 Pa 2.26
O7 0.7053 0.7044 0.5005  1 Pa 2.12, 2 Pm 2.32
O8 0.2947 0.2956 0.4995  1 Pa 2.12, 2 Pm 2.32

## Properties
D(E_F)	7.02	states/eV/f.u.
space group	P-1, No. 2
size of the total moment	0.0793	μB/atom
energy	-7.900	eV per atom
energy relative to the elements, uncorrected	-30.1	eV/f.u.

* * * * *

Density functional theory data (PBE) for a relaxed structure of ScCdOs2.

a = 4.0197 Å, b = 4.0197 Å, c = 4.1164 Å
α = 90.00°, β = 90.00°, γ = 90.00°
Sites, in units of the cell vectors:
1 Sc 0.0000 0.0000 0.0000
2 Cd 0.5000 0.5000 0.0000
3 Os 0.0000 0.5000 0.5000
4 Os 0.5000 0.0000 0.5000

Results
* volume: 66.5 Å³ per cell

=====

Density functional theory data (PBE) for a relaxed structure of ScCdOs2.

a = 5.0823 Å, b = 5.0823 Å, c = 5.0823 Å